Jamie Oliver

Celeb chef Jamie Oliver becomes UK’s biggest selling author

Celeb chef Jamie Oliver becomes UK’s biggest selling authorLondon, Mar 25 : British chef Jamie Oliver has become the country's biggest selling author after sales of his cookbooks leapt by more than 20 per cent last year.

With his latest cookery book, Jamie''s Ministry of Food, Oliver pipped Khaled Hosseini, James Patterson and J. K. Rowling by pulling down more than 11.5 million pounds in sales in 2008.

However, things were not so bright for Nigella Lawson, who saw revenue from her books drop by 35 per cent, reports The Telegraph.

Jamie Oliver to whisk 10-course-meal for Presidents'' G20 meet in London

Jamie Oliver to whisk 10-course-meal for Presidents'' G20 meet in LondonLondon, March 22 : British Prime Minister Gordon Brown has asked celebrity chef Jamie Oliver to prepare a 10-course meal for President Barack Obama and other world leaders when they visit London in April for the G20 meet.

The British chef had won the support of many for his role in campaigning against the use of processed foods, especially in national schools.

Jamie Oliver becomes animal rights protestors’ target in pork campaign

### Next to the piece, the page also holds crystal structures
A relaxed structure of CoP2I2. Source: the Alexandria database, functional PBE.

Calculated values
Its uncorrected formation energy is 0.363 eV/atom. Its density is 4.2 g/cm3. Its space-group type is P4/mbm, No. 127. The total energy is -3.84 eV per atom. Its energy above the most stable polymorph in this dataset is 0.0 meV per atom.

Structure (POSCAR):
```
CoP2I2
1.0
5.883 0.000 0.000
0.000 5.883 0.000
0.000 0.000 8.503
Co P I
2 4 4
Cartesian
0.000 0.000 0.000 Co
2.942 2.942 0.000 Co
0.765 2.177 0.000 P
2.177 5.118 0.000 P
3.707 0.765 0.000 P
5.118 3.707 0.000 P
1.104 1.838 4.251 I
1.838 4.780 4.251 I
4.046 1.104 4.251 I
4.780 4.046 4.251 I
```

=====

(a)
Computed, not measured: DyHoPd after structural relaxation at the PBE level of DFT.

Lattice parameters (Å, degrees): 4.7812 4.7812 3.7575 90.00 90.00 120.00
Space group P3m1 (No. 156)
Inequivalent atoms, fractional coordinates:
Dy 0.0000 0.0000 0.0000 [1 per cell]
Ho 0.3333 0.6667 0.5367 [1 per cell]
Pd 0.6667 0.3333 0.2769 [1 per cell]

Summary:
Its density of states at the Fermi level is 2.71 states/eV/cell.

---

(b)
Computed, not measured: DyHoPd after structural relaxation at the PBE level of DFT.

Lattice parameters (Å, degrees): 6.8934 6.8934 6.8934 90.00 90.00 90.00
Space group F-43m (No. 216)
Inequivalent atoms, fractional coordinates:
Dy 0.0000 0.0000 0.0000 [4 per cell]
Ho 0.0000 0.0000 0.5000 [4 per cell]
Pd 0.2500 0.2500 0.2500 [4 per cell]

Summary:
Its density of states at the Fermi level is 13.13 states/eV/cell.

---

Which one sits at the bottom of the stability order? (a) does.

---

(a)
Computed, not measured: DyHo4Pd2 after structural relaxation at the PBE level of DFT.

Lattice parameters (Å, degrees): 3.9099 3.9099 45.3956 90.00 90.00 120.00
Space group R-3m (No. 166, hexagonal axes)
Inequivalent atoms, fractional coordinates:
Dy 0.0000 0.0000 0.0000 [3 per cell]
Ho 0.0000 0.0000 0.1979 [6 per cell]
Ho 0.0000 0.0000 0.3952 [6 per cell]
Pd 0.0000 0.0000 0.0986 [6 per cell]

Summary:
Its density of states at the Fermi level is 27.47 states/eV/cell.

---

(b)
Computed, not measured: DyHo4Pd2 after structural relaxation at the PBE level of DFT.

Lattice parameters (Å, degrees): 7.8026 6.3407 8.0818 90.00 112.75 90.00
Space group P2_1/m (No. 11)
Inequivalent atoms, fractional coordinates:
Dy 0.1550 0.2500 0.0259 [2 per cell]
Ho 0.0208 0.2500 0.3918 [2 per cell]
Ho 0.2456 0.7500 0.3480 [2 per cell]
Ho 0.4074 0.0043 0.7709 [4 per cell]
Pd 0.2374 0.7500 0.9911 [2 per cell]
Pd 0.3821 0.2500 0.4191 [2 per cell]

Summary:
Its density of states at the Fermi level is 16.72 states/eV/cell.

---

Which one sits at the bottom of the stability order? (a) does.

---

(a)
Computed, not measured: Dy2Ho3Pd2 after structural relaxation at the PBE level of DFT.

Lattice parameters (Å, degrees): 12.3399 3.7011 9.0441 90.00 116.82 90.00
Space group C2/m (No. 12)
Inequivalent atoms, fractional coordinates:
Dy 0.1571 0.0000 0.3130 [4 per cell]
Ho 0.0000 0.5000 0.5000 [2 per cell]
### The crystal structures stop here

Jamie Oliver becomes animal rights protestors’ target in pork campaignLondon, Mar 19 : Brit chef Jamie Oliver, 33, has become animals rights group Peta’s target after his flagship restaurant Fifteen promoted British pork.

In his television show investigating pig welfare standards, Oliver had urged people to buy British rather than cheaper pork produced abroad under poorer conditions.

“The answer to saving pigs is not to buy British pork, it''s to go vegetarian,” the Telegraph quoted Peta as arguing.

Jamie Oliver’s school meals campaign helps pupils’ performances: Study

Jamie OliverLondon, Feb 4 : The school meals started by celebrity chef Jamie Oliver has shown to be responsible for the pupils getting better exam results, a new study has revealed.

Researchers found that children who follow the healthy diet were less likely to stay away from school, and that absenteeism also fell by
15 per cent.

The study also found that 11-year-olds, who have been on the diet for 12 months, improved by eight per cent in science and six per cent in English at Key Stage 2.

Jamie Oliver to cut back on swearing on TV

Jamie OliverLondon, Dec 15 : Celebrity chef Jamie Oliver''s swearing is to be cut in his future TV programmes- as part of the Mirror''s campaign for a crackdown on offensive language.

Oliver has been criticised for his frequent use of bad language on-air and will now be subject to more stringent editing before his shows are transmitted.

His production company has promised it will "respond to public concern" after he was criticised for excessive use of the f-word.

Jamie Oliver says pregnant wife has craving for hot water bottles

Jamie OliverLondon, Nov 12 : Celebrity chef Jamie Oliver, 33, has revealed that his pregnant wife Jools has developed an odd craving for hot water bottles.

The Naked Chef, as he is known, also revealed that Jools, 34, had a hunger for “retro” food from her childhood.

“Basically she’s an eating machine and I’m feeding her,” the Sun quoted him as telling US chat show host David Letterman.

“She’s gone back to retro food — fish paste, all that stuff from her childhood. She’s dipping bananas in vegemite.
